Please print the calculation results underneath exactly.

********
MgFeF5: optimized geometry, GGA+U.

Results
energy above the lowest structure with this stoichiometry: 1 meV per atom
E: -5.256 eV/atom
total magnetic moment: 20.0 μB/cell

a b c (Å): 9.714 5.146 7.546
angles (deg): 70.92 90.00 90.00
Site moments in Bohr magnetons follow the coordinates.
Positions (direct):
Mg: 0.988 0.483 0.221  0.01
Mg: 0.488 0.517 0.279  0.01
Mg: 0.012 0.517 0.779  0.01
Mg: 0.512 0.483 0.721  0.01
Fe: 0.240 0.899 0.376  4.47
Fe: 0.740 0.101 0.124  4.47
Fe: 0.760 0.101 0.624  4.47
Fe: 0.260 0.899 0.876  4.47
F: 0.112 0.604 0.387  0.08
F: 0.612 0.396 0.113  0.08
F: 0.888 0.396 0.613  0.08
F: 0.388 0.604 0.887  0.08
F: 0.392 0.643 0.487  0.06
F: 0.892 0.357 0.013  0.06
F: 0.608 0.357 0.513  0.06
F: 0.108 0.643 0.987  0.06
F: 0.595 0.856 0.225  0.10
F: 0.095 0.144 0.275  0.10
F: 0.405 0.144 0.775  0.10
F: 0.905 0.856 0.725  0.10
F: 0.862 0.795 0.160  0.09
F: 0.362 0.205 0.340  0.09
F: 0.138 0.205 0.840  0.09
F: 0.638 0.795 0.660  0.09
F: 0.319 0.833 0.143  0.11
F: 0.819 0.167 0.357  0.11
F: 0.681 0.167 0.857  0.11
F: 0.181 0.833 0.643  0.11

Mg3FeF: optimized geometry, GGA+U.

Results
energy above the lowest structure with this stoichiometry: 534 meV per atom
E: -2.327 eV/atom
total magnetic moment: 3.3 μB/cell

a b c (Å): 5.132 5.132 5.132
angles (deg): 90.00 90.00 90.00
Site moments in Bohr magnetons follow the coordinates.
Positions (direct):
Mg: 0.000 0.500 0.000  0.00
Mg: 0.000 0.000 0.500  0.00
Mg: 0.500 0.000 0.000  -0.01
Fe: 0.000 0.000 0.000  2.93
F: 0.500 0.500 0.500  0.03

MgFeMoF2: optimized geometry, GGA+U.

Results
E: -4.334 eV/atom
total magnetic moment: 1.7 μB/cell

a b c (Å): 3.863 6.935 3.863
angles (deg): 90.00 90.00 90.00
Site moments in Bohr magnetons follow the coordinates.
Positions (direct):
Mg: 0.000 0.000 0.000  0.01
Mo: 0.000 0.500 0.000  -1.94
Fe: 0.500 0.500 0.500  3.69
F: 0.000 0.000 0.500  0.01
F: 0.500 0.000 0.000  0.00

Na2MgFeF6: optimized geometry, GGA+U.

Results
E: -5.016 eV/atom
total magnetic moment: 4.0 μB/cell

a b c (Å): 5.635 5.617 5.629
angles (deg): 58.85 59.83 59.72
Site moments in Bohr magnetons follow the coordinates.
Positions (direct):
Na: 0.584 0.571 0.272  0.00
Na: 0.047 0.060 0.833  0.00
Mg: 0.816 0.816 0.552  0.00
Fe: 0.316 0.316 0.051  3.81
F: 0.593 0.153 0.282  0.02
F: 0.160 0.961 0.299  0.02
F: 0.969 0.569 0.315  0.02
F: 0.472 0.671 0.804  0.02
F: 0.664 0.064 0.787  0.02
F: 0.040 0.479 0.820  0.02


a.
VASP calculation (PBE) on crystalline CeThAs2 at its relaxed geometry.

## Properties
Magnetization in μB per formula unit: 0.45
Symmetry: P6_3/mmc, No. 194

Lattice parameters (Å, degrees): 4.187 4.187 14.108 90.00 90.00 120.00
Sites, in units of the cell vectors:
Ce  0.000  0.000  0.000
Ce  0.000  0.000  0.500
Th  0.333  0.667  0.250
Th  0.667  0.333  0.750
As  0.333  0.667  0.621
As  0.333  0.667  0.879
As  0.667  0.333  0.121
As  0.667  0.333  0.379


b.
VASP calculation (PBE) on crystalline CeThAs2 at its relaxed geometry.

## Properties
Magnetization in μB per formula unit: 0.68
Symmetry: R-3m, No. 166

Lattice parameters (Å, degrees): 4.238 4.238 20.769 90.00 90.00 120.00
Sites, in units of the cell vectors:
Ce  0.000  0.000  0.000
Ce  0.333  0.667  0.667
Ce  0.667  0.333  0.333
Th  0.000  0.000  0.500
Th  0.333  0.667  0.167
Th  0.667  0.333  0.833
As  0.000  0.000  0.251
As  0.000  0.000  0.749
As  0.333  0.667  0.416
As  0.333  0.667  0.917
As  0.667  0.333  0.083
As  0.667  0.333  0.584


c.
VASP calculation (PBE) on crystalline CeThAs2 at its relaxed geometry.

## Properties
Magnetization in μB per formula unit: 0.41
Symmetry: R3m, No. 160

Lattice parameters (Å, degrees): 4.131 4.131 22.064 90.00 90.00 120.00
Sites, in units of the cell vectors:
Ce  0.000  0.000  0.000
Ce  0.333  0.667  0.667
Ce  0.667  0.333  0.333
Th  0.000  0.000  0.174
Th  0.333  0.667  0.840
Th  0.667  0.333  0.507
As  0.000  0.000  0.419
As  0.000  0.000  0.590
As  0.333  0.667  0.086
As  0.333  0.667  0.256
As  0.667  0.333  0.752
As  0.667  0.333  0.923
********

MgFeF5: optimized geometry, GGA+U.

Results
energy above the lowest structure with this stoichiometry: 1 meV per atom
E: -5.256 eV/atom
total magnetic moment: 20.0 μB/cell

a b c (Å): 9.714 5.146 7.546
angles (deg): 70.92 90.00 90.00
Site moments in Bohr magnetons follow the coordinates.
Positions (direct):
Mg: 0.988 0.483 0.221  0.01
Mg: 0.488 0.517 0.279  0.01
Mg: 0.012 0.517 0.779  0.01
Mg: 0.512 0.483 0.721  0.01
Fe: 0.240 0.899 0.376  4.47
Fe: 0.740 0.101 0.124  4.47
Fe: 0.760 0.101 0.624  4.47
Fe: 0.260 0.899 0.876  4.47
F: 0.112 0.604 0.387  0.08
F: 0.612 0.396 0.113  0.08
F: 0.888 0.396 0.613  0.08
F: 0.388 0.604 0.887  0.08
F: 0.392 0.643 0.487  0.06
F: 0.892 0.357 0.013  0.06
F: 0.608 0.357 0.513  0.06
F: 0.108 0.643 0.987  0.06
F: 0.595 0.856 0.225  0.10
F: 0.095 0.144 0.275  0.10
F: 0.405 0.144 0.775  0.10
F: 0.905 0.856 0.725  0.10
F: 0.862 0.795 0.160  0.09
F: 0.362 0.205 0.340  0.09
F: 0.138 0.205 0.840  0.09
F: 0.638 0.795 0.660  0.09
F: 0.319 0.833 0.143  0.11
F: 0.819 0.167 0.357  0.11
F: 0.681 0.167 0.857  0.11
F: 0.181 0.833 0.643  0.11

Mg3FeF: optimized geometry, GGA+U.

Results
energy above the lowest structure with this stoichiometry: 534 meV per atom
E: -2.327 eV/atom
total magnetic moment: 3.3 μB/cell

a b c (Å): 5.132 5.132 5.132
angles (deg): 90.00 90.00 90.00
Site moments in Bohr magnetons follow the coordinates.
Positions (direct):
Mg: 0.000 0.500 0.000  0.00
Mg: 0.000 0.000 0.500  0.00
Mg: 0.500 0.000 0.000  -0.01
Fe: 0.000 0.000 0.000  2.93
F: 0.500 0.500 0.500  0.03

MgFeMoF2: optimized geometry, GGA+U.

Results
E: -4.334 eV/atom
total magnetic moment: 1.7 μB/cell

a b c (Å): 3.863 6.935 3.863
angles (deg): 90.00 90.00 90.00
Site moments in Bohr magnetons follow the coordinates.
Positions (direct):
Mg: 0.000 0.000 0.000  0.01
Mo: 0.000 0.500 0.000  -1.94
Fe: 0.500 0.500 0.500  3.69
F: 0.000 0.000 0.500  0.01
F: 0.500 0.000 0.000  0.00

Na2MgFeF6: optimized geometry, GGA+U.

Results
E: -5.016 eV/atom
total magnetic moment: 4.0 μB/cell

a b c (Å): 5.635 5.617 5.629
angles (deg): 58.85 59.83 59.72
Site moments in Bohr magnetons follow the coordinates.
Positions (direct):
Na: 0.584 0.571 0.272  0.00
Na: 0.047 0.060 0.833  0.00
Mg: 0.816 0.816 0.552  0.00
Fe: 0.316 0.316 0.051  3.81
F: 0.593 0.153 0.282  0.02
F: 0.160 0.961 0.299  0.02
F: 0.969 0.569 0.315  0.02
F: 0.472 0.671 0.804  0.02
F: 0.664 0.064 0.787  0.02
F: 0.040 0.479 0.820  0.02


a.
VASP calculation (PBE) on crystalline CeThAs2 at its relaxed geometry.

## Properties
Magnetization in μB per formula unit: 0.45
Symmetry: P6_3/mmc, No. 194

Lattice parameters (Å, degrees): 4.187 4.187 14.108 90.00 90.00 120.00
Sites, in units of the cell vectors:
Ce  0.000  0.000  0.000
Ce  0.000  0.000  0.500
Th  0.333  0.667  0.250
Th  0.667  0.333  0.750
As  0.333  0.667  0.621
As  0.333  0.667  0.879
As  0.667  0.333  0.121
As  0.667  0.333  0.379


b.
VASP calculation (PBE) on crystalline CeThAs2 at its relaxed geometry.

## Properties
Magnetization in μB per formula unit: 0.68
Symmetry: R-3m, No. 166

Lattice parameters (Å, degrees): 4.238 4.238 20.769 90.00 90.00 120.00
Sites, in units of the cell vectors:
Ce  0.000  0.000  0.000
Ce  0.333  0.667  0.667
Ce  0.667  0.333  0.333
Th  0.000  0.000  0.500
Th  0.333  0.667  0.167
Th  0.667  0.333  0.833
As  0.000  0.000  0.251
As  0.000  0.000  0.749
As  0.333  0.667  0.416
As  0.333  0.667  0.917
As  0.667  0.333  0.083
As  0.667  0.333  0.584


c.
VASP calculation (PBE) on crystalline CeThAs2 at its relaxed geometry.

## Properties
Magnetization in μB per formula unit: 0.41
Symmetry: R3m, No. 160

Lattice parameters (Å, degrees): 4.131 4.131 22.064 90.00 90.00 120.00
Sites, in units of the cell vectors:
Ce  0.000  0.000  0.000
Ce  0.333  0.667  0.667
Ce  0.667  0.333  0.333
Th  0.000  0.000  0.174
Th  0.333  0.667  0.840
Th  0.667  0.333  0.507
As  0.000  0.000  0.419
As  0.000  0.000  0.590
As  0.333  0.667  0.086
As  0.333  0.667  0.256
As  0.667  0.333  0.752
As  0.667  0.333  0.923